FAQs for current students
Here are some commonly asked questions pertaining to the neuroscience major.
For FAQs about registration issues in general or general education coursework, please visit the College of Arts and Sciences advising webpage.
+++
Structure and computed X-ray diffraction stick pattern of V4Ni2O9 (a cell relaxed with PBE+U; CuKα).

Principal peaks in the range 10° ≤ 2θ ≤ 80°, most intense first:
- 2θ 32.8, I = 100.0
- 2θ 35.3, I = 81.3
- 2θ 53.5, I = 69.1
- 2θ 23.9, I = 45.6
- 2θ 49.0, I = 26.5
- 2θ 63.4, I = 24.8
- 2θ 40.5, I = 23.3
- 2θ 61.9, I = 21.8
- 2θ 71.0, I = 15.4
- 2θ 49.1, I = 13.3

Structure:
```
data_V4Ni2O9
_chemical_formula_sum 'V8 Ni4 O18'
_cell_length_a 5.4901
_cell_length_b 5.4901
_cell_length_c 12.5970
_cell_angle_alpha 93.65
_cell_angle_beta 93.65
_cell_angle_gamma 55.22
_space_group_name_H-M_alt 'P 1'
_space_group_IT_number 1
loop_
_space_group_symop_operation_xyz
'x,y,z'
loop_
_atom_site_label
_atom_site_type_symbol
_atom_site_fract_x
_atom_site_fract_y
_atom_site_fract_z
V1 V 0.0007 0.9993 0.5000
V2 V 0.2658 0.2716 0.4281
V3 V 0.2716 0.2658 0.9281
V4 V 0.3333 0.3346 0.1623
V5 V 0.3346 0.3333 0.6623
V6 V 0.6620 0.6688 0.3239
V7 V 0.6688 0.6620 0.8239
V8 V 0.9993 0.0007 0.0000
Ni1 Ni 0.6014 0.6103 0.5924
Ni2 Ni 0.6103 0.6014 0.0924
Ni3 Ni 0.9325 0.9366 0.7637
Ni4 Ni 0.9366 0.9325 0.2637
O1 O 0.0386 0.3259 0.5628
O2 O 0.0998 0.4885 0.7942
O3 O 0.1407 0.7822 0.6197
O4 O 0.2479 0.9185 0.8652
O5 O 0.2539 0.5787 0.0279
O6 O 0.3259 0.0386 0.0628
O7 O 0.3881 0.6523 0.2400
O8 O 0.4281 0.8332 0.4543
O9 O 0.4885 0.0998 0.2942
O10 O 0.5787 0.2539 0.5279
O11 O 0.5837 0.9131 0.6992
O12 O 0.6523 0.3881 0.7400
O13 O 0.7109 0.9859 0.9028
O14 O 0.7822 0.1407 0.1197
O15 O 0.8332 0.4281 0.9543
O16 O 0.9131 0.5837 0.1992
O17 O 0.9185 0.2479 0.3652
O18 O 0.9859 0.7109 0.4028
```

----------

(1)
For Nb4SiTe4, a cell relaxed with GGA-PBE gives the calculated powder diffractogram in this record (CuKα).

Structural model:
```
36
Lattice="11.032 0.000 0.000 0.000 19.087 0.000 0.000 0.000 4.875" Properties=species:S:1:pos:R:3 pbc="T T T"
Nb 0.693 2.221 0.000
Nb 1.085 17.029 2.437
Nb 2.064 1.086 2.437
Nb 2.227 18.397 0.000
Nb 3.288 8.854 0.000
Nb 3.452 10.629 2.437
Nb 4.431 7.485 2.437
Nb 4.823 11.765 0.000
Nb 6.209 7.322 0.000
Nb 6.601 11.602 2.437
Nb 7.580 8.458 2.437
Nb 7.743 10.233 0.000
Nb 8.804 0.690 0.000
Nb 8.968 18.001 2.437
Nb 9.947 2.058 2.437
Nb 10.339 16.866 0.000
Si 0.000 0.000 1.219
Si 0.000 0.000 3.656
Si 5.516 9.543 1.219
Si 5.516 9.543 3.656
Te 1.176 3.794 2.437
Te 1.716 8.362 2.437
Te 1.844 15.574 0.000
Te 1.993 11.398 0.000
Te 3.523 1.854 0.000
Te 3.672 6.030 0.000
Te 3.800 17.906 2.437
Te 4.340 13.337 2.437
Te 6.692 5.750 2.437
Te 7.232 1.181 2.437
Te 7.360 13.057 0.000
Te 7.509 17.233 0.000
Te 9.039 7.689 0.000
Te 9.188 3.513 0.000
Te 9.316 10.725 2.437
Te 9.856 15.293 2.437
```

Peak list (10 most intense, 2θ = 5–70°, sorted by position)
9.549 Å, intensity 100
5.513 Å, intensity 29
3.588 Å, intensity 28
3.258 Å, intensity 19
2.590 Å, intensity 26
2.437 Å, intensity 30
2.382 Å, intensity 15
2.328 Å, intensity 13
2.246 Å, intensity 29
2.185 Å, intensity 18

(2)
+++
The calculated crystals stop here.
Q: Do I have to maintain a certain GPA as a Neuroscience major?
A: Yes, you must maintain a C average in your major courses. So if you look at your CAPP report under the "Neuroscience Major", the GPA must be at 2.0 or above
Q: If I get below a "C" in a course, does it mean that I have to repeat it?
A: No. Any grade that is a "D" or above is considered passing, and you get credit for the course. However, if you get a very low grade in a major or cognate course, and you are interested in applying for medical/dental/veterinary/graduate school, you may want to consider retaking the course. In addition, if your major GPA (see above) is below a 2.0, you may consider repeating the course to bring you GPA up above the 2.0 mark.
Q: If I am a Neuroscience major, am I a "Pre-Med" major as well?
A: This is a common misconception. There is no such thing as a "pre-med" major in our school. Theoretically, you can be an English major and still apply for medical school. All you really need is the minimum course requirements (Chem 112, 113, 232, 233 with labs, Biol 141-142 with labs, Phys 120-121 with labs, Math 114, and a year of English Literature). It just so happens that the Neuroscience major includes these courses as part of the degree. However, if you can take these courses within the credits of an English major, then you can apply for medical school.
Bear in mind that while the above is true, the major provides much of the necessary training for critical thinking, discipline, and work ethic needed for advanced study (such as medical school). Courses do not only teach you content; they also teach you thought process, analysis, and integration.
Q: Speaking of "Pre-Med", how do I find out which courses will help me prepare for the MCATs?
A: The short answer is this: "If you know what you are doing, then EVERY course helps you. If you don't, then none of them will..."
**Calculated crystals, as found in the file**
- - -
Entry 1:
Simulated X-ray diffraction stick pattern
Compound: TbTmAl3Ge2
Radiation: Cu Ka
Structure: a PBE-relaxed structure

Principal peaks in the range 10 to 90 degrees two-theta, low angle first:
d [Å]	two_theta	intensity	hkl
6.638	13.34	55.3	0 0 1
3.721	23.91	25.1	2 0 1
3.373	26.43	35.0	1 1 -1
3.319	26.86	21.4	0 0 2
3.192	27.95	56.6	1 1 1
2.575	34.85	100.0	1 1 -2
2.530	35.48	56.0	3 1 -1
2.523	35.58	33.8	4 0 0
2.313	38.94	49.0	3 1 1
2.213	40.78	27.2	0 0 3
2.033	44.58	34.9	0 2 0
1.923	47.26	30.2	3 1 2

Structure:
Cell lengths 10.2451, 4.0651, 6.7376 Å; angles 90.00, 99.88, 90.00 degrees
Space group Cm (No. 8)
One atom of each set of equivalent atoms:
Tb  0.0000  0.0000  0.0000
Tm  0.2673  0.5000  0.3669
Al  0.0814  0.0000  0.5581
Al  0.1864  0.5000  0.8058
Al  0.3826  0.0000  0.6816
Ge  0.2837  0.0000  0.0437
Ge  0.4837  0.0000  0.3261

***

Entry 2:
Simulated X-ray diffraction stick pattern
Compound: Nb5Ga3
Radiation: Cu Ka
Structure: a PBE-relaxed structure

Principal peaks in the range 10 to 90 degrees two-theta, low angle first:
d [Å]	two_theta	intensity	hkl
2.633	34.05	11.7	4 0 0
2.525	35.55	80.0	0 0 2
2.389	37.66	13.7	1 1 2
2.355	38.21	65.4	4 2 0
2.278	39.55	100.0	4 1 1
2.088	43.33	12.1	2 2 2
2.011	45.09	21.1	3 1 2
1.824	50.02	21.0	5 2 1
1.721	53.21	11.8	4 2 2
1.598	57.69	11.5	5 1 2
1.469	63.33	17.7	5 3 2
1.404	66.58	17.9	4 1 3

Structure:
Cell lengths 10.5326, 10.5326, 5.0441 Å; angles 90.00, 90.00, 90.00 degrees
Space group I4/mcm (No. 140)
One atom of each set of equivalent atoms:
Nb  0.0000  0.5000  0.2500
Nb  0.0783  0.2325  0.0000
Ga  0.0000  0.0000  0.0000
Ga  0.1654  0.3346  0.5000

***

Entry 3:
Simulated X-ray diffraction stick pattern
Compound: Gd4TeC2Br
Radiation: Cu Ka
Structure: a PBE-relaxed structure

Principal peaks in the range 10 to 90 degrees two-theta, low angle first:
d [Å]	two_theta	intensity	hkl
3.299	27.02	25.8	1 0 0
3.214	27.75	4.4	1 0 1
2.710	33.06	100.0	1 0 3
2.375	37.89	13.5	0 0 6
1.927	47.16	12.7	1 0 6
1.905	47.75	25.4	1 1 0
1.558	59.30	18.6	2 0 3
1.486	62.51	18.9	1 1 6
1.427	65.38	11.5	1 0 9
1.206	79.46	16.9	2 1 3
1.142	84.90	5.7	2 0 9
1.100	89.01	4.4	3 0 0

Structure:
Cell lengths 3.8098, 3.8098, 14.2477 Å; angles 90.00, 90.00, 120.00 degrees
Space group P-6m2 (No. 187)
One atom of each set of equivalent atoms:
Gd  0.0000  0.0000  0.1553
Gd  0.3333  0.6667  0.3404
Te  0.3333  0.6667  0.0000
C  0.6667  0.3333  0.2567
Br  0.0000  0.0000  0.5000

***

Entry 4:
Simulated X-ray diffraction stick pattern
Compound: TaIn7IrO8
Radiation: Cu Ka
Structure: a PBE-relaxed structure

Principal peaks in the range 10 to 90 degrees two-theta, low angle first:
d [Å]	two_theta	intensity	hkl
5.989	14.79	19.1	1 1 1
3.668	24.27	24.5	2 2 0
3.128	28.54	31.4	3 1 1
2.995	29.84	100.0	2 2 2
2.593	34.59	86.7	4 0 0
2.118	42.70	10.8	4 2 2
1.834	49.72	90.1	4 4 0
1.564	59.07	40.7	6 2 2
1.497	61.98	22.3	4 4 4
1.297	72.96	13.4	8 0 0
1.190	80.76	16.7	6 6 2
1.160	83.32	30.4	8 4 0

Structure:
- - -
You must approach your coursework with this mindset: you do not take a course to learn WHAT to think, but HOW to think. If all you are interested in is facts and information, you can learn these by reading any book. What is critical to learn in courses are the SKILLS and THOUGHT PROCESSES involved in each academic discipline. Learn how to think about the subject matter. Learn how to synthesize and integrate information. Learn how to analyze material that is unfamiliar.
And remember that "the role of faculty is not to COVER material, but to UNCOVER it".
If all you are learning from your coursework is facts and information, you are going about it the wrong way.
Q: If I am thinking about applying to medical school, does it mean that I cannot do a study abroad semester?
A: This is a common misconception. You CAN study abroad, but it requires careful planning. You also may have to take summer/intersession courses to catch up.
Q: How difficult is it to study abroad for one semester or one year?
A: Not at all. We at the university strongly encourage study-abroad because it is such a rich and rewarding educational experience. The main constraint for studying abroad is a) financial, and b) transferring credits. You can find more detailed information through the Study Abroad Program Page. For more information, consult with Fr. John Sivalon, the study abroad advisor.
Q: I go home in the summer, far away from ¾ÅÐãÖ±²¥. Can I take major or cognate courses in another college, and then transfer the credits here?
A: Yes (although we generally do not advise doing this). To do so, what you need to do is obtain a syllabus from the course. Download the form for transferring credits from another university. To approve the transfer, the chair of the department of your course should determine whether the course in the other college, and the course at the U of ¾ÅÐãÖ±²¥ are equivalent (for example, Organic Chemistry at Temple University vs. Biol 233 at the U). If he/she deems that they are equivalent, then your form will be signed and you can have the credits count towards your degree.
Occasionally, you might find a legitimate Neuroscience majors course that we do not offer here at the university (for example, a course like Mycology or Herpetology). This is an excellent opportunity for you to broaden your intellectual horizons. If this is the case, you could seek approval from the program director for approval, and this course can count towards your major.
We recommend that you try to seek approval BEFORE you take these courses at another institute. It will make your life easier when you try to transfer your credits.
Note that you CANNOT take a course that you have failed in the University by taking it at another institution. For more details, consult the undergraduate catalog.
Q: How do I add a minor to my neuroscience major? Is there a time limit for when I can do this?
A: Go to the Registrar's office (St. Thomas 3rd Floor) and get the "Curriculum Change" form. Fill it out and have your advisor sign it, and get the appropriate signatures (Chair, Dean). You can add a minor at any time before you apply for graduation.
Q: Is it possible to change advisors within the neuroscience major? If so, how do I do it?
A: Yes you can. Here is the process:
- the student should meet with the faculty member that is being requested as an advisor and find out if the faculty member is willing or able to take the student on as an advisee.
- if the faculty member is willing and able to take the student on as an advisee, the faculty member needs to use department letterhead to write a note to the CAS Associate Dean requesting the change. The student’s “old” advisor’s name should be included along with the student’s Royal ID number.
- if the request is approved by the CAS Dean’s Office, the change of advisors will be made by the Registrar and the Registrar will notify the “old” advisor to have the advising file sent to the “new” advisor. The "new" advisor will also have access to the student's records through UIS, and will also have the student's registration PINs, etc.
- once you have done so, please be a "good advisee" by scheduling meetings with your new advisor in a timely fashion (and with ample time before registration deadlines), keeping your appointments, keeping on top of your academic record, knowing the deadlines, etc.
Q: Is it possible for a neuroscience major to get an advisor from another academic department?
A: You can do this only if you have a double major. In this case, you will still see a Neuroscience Faculty member for advising in addition to the faculty member in your other major. Otherwise, you cannot get an advisor from another department. The Neuroscience faculty are the ones who know the curriculum best; it is to your advantage that you seek advice from them regarding your academic curriculum.
However, this does not prevent you from seeking advice from others. There are numerous resources in the university: the can help you with academic issues. The can assist you with personal issues. The Office of Career Services can help you with career questions and give you helpful advice on job applications and interviews. The Student Activities Office can help you get involved with extracurricular activities on and off campus.
If you wish to submit a question for this page, contact the program director, Robert Waldeck, Ph.D., at robert.waldeck@scranton.edu.